____________
Sr5Tl: single point on PBEsol structure, SCAN.

It has space group Cmmm (No. 65), with a = 4.725 Å, b = 18.168 Å, c = 6.049 Å, α = 90.00°, β = 90.00° and γ = 90.00°. Symmetry generates all atoms from Sr at (0.000, 0.000, 0.000), Sr at (0.000, 0.144, 0.500), Sr at (0.000, 0.333, 0.000) and Tl at (0.000, 0.500, 0.500).

The calculation puts the energy relative to the lowest polymorph listed for this composition at 75 meV/atom. For the formation energy, the calculation gives -133 meV/atom.

MgSb2PH: single point on PBEsol structure, SCAN.

It has space group P4/mmm (No. 123), with a = 5.259 Å, b = 5.259 Å, c = 4.723 Å, α = 90.00°, β = 90.00° and γ = 90.00°. Symmetry generates all atoms from Mg at (0.000, 0.000, 0.000), Sb at (0.000, 0.500, 0.500), P at (0.000, 0.000, 0.500) and H at (0.500, 0.500, 0.000).

The value obtained for the final energy is -17.8311 eV/atom.
____________

Quote the notes further up exactly.

Sr5Tl: single point on PBEsol structure, SCAN.

It has space group Cmmm (No. 65), with a = 4.725 Å, b = 18.168 Å, c = 6.049 Å, α = 90.00°, β = 90.00° and γ = 90.00°. Symmetry generates all atoms from Sr at (0.000, 0.000, 0.000), Sr at (0.000, 0.144, 0.500), Sr at (0.000, 0.333, 0.000) and Tl at (0.000, 0.500, 0.500).

The calculation puts the energy relative to the lowest polymorph listed for this composition at 75 meV/atom. For the formation energy, the calculation gives -133 meV/atom.

MgSb2PH: single point on PBEsol structure, SCAN.

It has space group P4/mmm (No. 123), with a = 5.259 Å, b = 5.259 Å, c = 4.723 Å, α = 90.00°, β = 90.00° and γ = 90.00°. Symmetry generates all atoms from Mg at (0.000, 0.000, 0.000), Sb at (0.000, 0.500, 0.500), P at (0.000, 0.000, 0.500) and H at (0.500, 0.500, 0.000).

The value obtained for the final energy is -17.8311 eV/atom.